Wanted:
It remains to repeat all of the data below verbatim.

File:
┌──
Compound: La2MgMoO6
Source: the Materials Project database
Functional: GGA+U
Structure: relaxed

For the total energy, the calculation gives -7.47 eV/atom. The calculation puts the corrected total energy (MP2020 scheme) at -81.983 eV per cell. Its crystal system is triclinic. The energy of formation comes out at -2998 meV per atom.

It has space group P1 (No. 1), with a = 5.8706 Å, b = 5.8900 Å, c = 6.0077 Å, α = 89.91°, β = 61.15° and γ = 60.16°. The distinct sites, in fractional coordinates, are La at (0.0000, 0.0000, 0.0000), La at (0.4701, 0.2607, 0.7895), Mg at (0.4326, 0.7841, 0.3540), Mo at (0.8163, 0.5926, 0.7734), O at (0.2353, 0.1637, 0.6112), O at (0.3762, 0.9751, 0.0529), O at (0.5965, 0.5734, 0.6005), O at (0.6010, 0.4345, 0.0501), O at (0.9214, 0.6443, 0.0515) and O at (0.9901, 0.8225, 0.6098).


(1)
Density functional theory data (r2SCAN) for a relaxed structure of Na2ZnCl4.

For the total moment, the calculation gives 0.0 μB/f.u. For the total energy, the calculation gives -7.54 eV per atom. Its energy relative to the elements is -1.74 eV per atom.

It has space group Pnma (No. 62), with a = 13.643 Å, b = 7.982 Å, c = 6.374 Å, α = 90.00°, β = 90.00° and γ = 90.00°. The distinct sites, in fractional coordinates, are Na at (0.000, 0.000, 0.000), Na at (0.231, 0.250, 0.494), Zn at (0.091, 0.750, 0.412), Cl at (0.063, 0.250, 0.733), Cl at (0.092, 0.750, 0.764) and Cl at (0.165, 0.524, 0.260).

---

(2)
Density functional theory data (r2SCAN) for a relaxed structure of ZrIn3.

For the total moment, the calculation gives 0.0 μB/f.u. For the total energy, the calculation gives -22.95 eV per atom. Its energy relative to the elements is -0.33 eV per atom.

It has space group I4/mmm (No. 139), with a = 4.263 Å, b = 4.263 Å, c = 9.870 Å, α = 90.00°, β = 90.00° and γ = 90.00°. The distinct sites, in fractional coordinates, are Zr at (0.000, 0.000, 0.000), In at (0.000, 0.000, 0.500) and In at (0.000, 0.500, 0.250).

---

Which value of energy relative to the elements does entry 2 give? -0.33 eV per atom

---
└──

Outcome:
Compound: La2MgMoO6
Source: the Materials Project database
Functional: GGA+U
Structure: relaxed

For the total energy, the calculation gives -7.47 eV/atom. The calculation puts the corrected total energy (MP2020 scheme) at -81.983 eV per cell. Its crystal system is triclinic. The energy of formation comes out at -2998 meV per atom.

It has space group P1 (No. 1), with a = 5.8706 Å, b = 5.8900 Å, c = 6.0077 Å, α = 89.91°, β = 61.15° and γ = 60.16°. The distinct sites, in fractional coordinates, are La at (0.0000, 0.0000, 0.0000), La at (0.4701, 0.2607, 0.7895), Mg at (0.4326, 0.7841, 0.3540), Mo at (0.8163, 0.5926, 0.7734), O at (0.2353, 0.1637, 0.6112), O at (0.3762, 0.9751, 0.0529), O at (0.5965, 0.5734, 0.6005), O at (0.6010, 0.4345, 0.0501), O at (0.9214, 0.6443, 0.0515) and O at (0.9901, 0.8225, 0.6098).


(1)
Density functional theory data (r2SCAN) for a relaxed structure of Na2ZnCl4.

For the total moment, the calculation gives 0.0 μB/f.u. For the total energy, the calculation gives -7.54 eV per atom. Its energy relative to the elements is -1.74 eV per atom.

It has space group Pnma (No. 62), with a = 13.643 Å, b = 7.982 Å, c = 6.374 Å, α = 90.00°, β = 90.00° and γ = 90.00°. The distinct sites, in fractional coordinates, are Na at (0.000, 0.000, 0.000), Na at (0.231, 0.250, 0.494), Zn at (0.091, 0.750, 0.412), Cl at (0.063, 0.250, 0.733), Cl at (0.092, 0.750, 0.764) and Cl at (0.165, 0.524, 0.260).

---

(2)
Density functional theory data (r2SCAN) for a relaxed structure of ZrIn3.

For the total moment, the calculation gives 0.0 μB/f.u. For the total energy, the calculation gives -22.95 eV per atom. Its energy relative to the elements is -0.33 eV per atom.

It has space group I4/mmm (No. 139), with a = 4.263 Å, b = 4.263 Å, c = 9.870 Å, α = 90.00°, β = 90.00° and γ = 90.00°. The distinct sites, in fractional coordinates, are Zr at (0.000, 0.000, 0.000), In at (0.000, 0.000, 0.500) and In at (0.000, 0.500, 0.250).

---

Which value of energy relative to the elements does entry 2 give? -0.33 eV per atom

---